photo of protestors outside the High Court

Persons unknown. How an oil firm injunction threatens democracy

UK Oil & Gas (UKOG) is seeking an injunction – but against whom? Dave Timms on the latest attempt to clear the way for dirty energy and what it means for us all.
photo of Dave Timms, Friends of the Earth
By Dave Timms    |      Published:  05 Jul 2018    |      3 minute read

How do you describe yourself? Northerner? Mother? Plumber? Cricket fan?

Short, beardy, cockney, birdwatcher? Oh, sorry that’s me, Dave Timms, a campaigner and head of political affairs at Friends of the Earth.

We are a wonderfully diverse bunch in these islands but fossil fuel company UK Oil and Gas (UKOG) wants to give me, and perhaps you, a sinister new label: "persons unknown".

That’s because southern England’s Weald Basin contains oil, and fossil fuel companies want to get at it. Locals say "No" but drilling sites are increasingly pock-marking the area: where some of us see the Western Weald, oil and gas companies seem to imagine the Wild West.

What is the UKOG injunction against?

This week at the High Court UKOG is attempting to secure a legal injunction to ban a range of protest activity directed at its operations. The injunction is of almost unprecedented scope.

An injunction is something most people might associate with badly behaved celebrities hoping to protect their reputation. It means a court saying you can’t do something, and if you go on to do that something, you could be found in contempt of court. That's   a serious crime potentially punishable by heavy fines and prison sentences.

Some of the activity that UKOG wants to pre-emptively ban is already illegal – criminal damage for example. So why do they need an injunction?

UKOG’s injunction would also forbid a wide range of peaceful protest such as slow walking on the highway. Such activities have been carried out perfectly lawfully numerous times at drilling sites across the country. And local protests against UKOG's activities have included such acts of subversive outrage as afternoon tea parties  and picnics.

Who is the injunction against?

In a democracy, you wouldn’t think an oil and gas company could use this legal instrument to apply widely and vaguely to anyone who might do something. But that is what's happening this week in the High Court.

The implications for freedom of speech are chilling.

Normally injunctions must name the people they are brought against, but not this one. It is being sought against "persons unknown".

And don’t think you’ll be safe just because you don’t live in Sussex or Surrey and won’t be taking part in any of these would-be banned activities. UKOG’s injunction would catch anyone "encouraging" or "combining together" with others. Our lawyers can’t say with any certainty what this means – but we fear it could cover social media posts showing your support for a normally lawful protest.

The implications for freedom of speech are chilling.

Why Friends of the Earth opposes the UKOG injunction

So this is about an injunction that is being sought against "persons unknown", covering normally lawful activities and extending to anyone "encouraging" others to undertake them. You may read Kafka; you wouldn’t want to live it.

What comes next are crystal structures, not part of the text
/*
Simulated XRD peak list
Compound: Cs2Na2Au
Radiation: Cu Kα X-rays
Structure: DFT lattice parameters and positions (PBE)
Intensities are scaled so that the largest is 100.

Most intense lines, 10 to 90 degrees two-theta, in order of falling intensity:
- 26.7 deg, I = 100, (1 0 5)
- 28.2 deg, I = 65, (1 1 2)
- 32.4 deg, I = 55, (1 0 7)
- 27.2 deg, I = 43, (1 1 0)
- 47.8 deg, I = 41, (2 1 5)
- 22.1 deg, I = 39, (1 0 3)
- 38.9 deg, I = 31, (2 0 0)
- 51.5 deg, I = 30, (2 1 7)
- 45.2 deg, I = 21, (0 0 12)
- 61.1 deg, I = 20, (2 0 12)

Structural model:
```
data_Cs2Na2Au
_space_group_name_H-M_alt 'I 4/m m m'
_space_group_IT_number 139
_space_group_name_Hall '-I 4 2'
_cell_length_a 4.634
_cell_length_b 4.634
_cell_length_c 24.098
_cell_angle_alpha 90.00
_cell_angle_beta 90.00
_cell_angle_gamma 90.00
loop_
_atom_site_label
_atom_site_fract_x
_atom_site_fract_y
_atom_site_fract_z
_atom_site_occupancy
Cs1 0.000 0.000 0.085 1
Na1 0.000 0.500 0.250 1
Au1 0.000 0.000 0.500 1
```
*/

Friends of the Earth finds the breadth and scope of UKOG’s planned injunction outrageous. We are deeply concerned about its impact on free speech and the right to protest. This isn’t so much taking a sledgehammer to crack a nut as peeling a grape with a steamroller.

We have fears about the impact this injunction would have on lawful and legitimate opposition to UKOG’s drilling plans. And we're concerned about the increasing number of these injunctions and the frightening effect they could have on campaigning on climate change and other environmental issues.

Friends of the Earth is a defendant at the High Court alongside a group of brave local women – the so-called Surrey and Sussex 6 – who have come forward to fight it.

Bypassing democracy

It’s tempting to think that fossil fuel firms threatening civil liberties to suppress opposition to their activities is something that only happens in countries without a strong democracy and the rule of law. That would be complacent.

The government is already attempting to bypass key aspects of the local planning system so that it can force through fracking (please consider signing our petition below). When local communities object they could find themselves silenced, and unable to protest because lawyers and private security firms are waving High Court injunctions at them.

This injunction also threatens to take public order decisions out of the hands of the more democratically accountable local police force and put them into the hands of profit-seeking fossil fuel firms. It is draconian, sinister and anti-democratic.

It’s why fighting UKOG’s injunction is not just about stopping it from drilling our countryside. We must also stop it from undermining our democracy.

And now to that petition I mentioned. 

The government wants to rewrite planning rules to make it easier for fracking companies to drill in search of climate-wrecking fossil fuels. The changes would sideline local people – who will be most affected. Please sign our petition to tell the government it can’t get away with trampling on local democracy.